VAR again

Is there any guidance on DOGSO HB? From the freeze frame above, I'd expect a top keeper to save that, so I'd be opposed to Ciley's red card (assuming the HB was indeed deliberate, which I'm doubtful of having not watched the game)

No no no no ! A clear and obvious goal scoring opportunity is not based on the chances of the keeper saving it !!!! This should not be one of the considerations! Its a clear and obvious chance to score. Chance to score.
Not based on the keepers ability or otherwise.

When digesting DOGSO the ability of the keeper is not a consideration, the fact a direct shot is travelling to the middle of the goal (but for the defenders handball) is what we consider.
A&H International
No no no no ! A clear and obvious goal scoring opportunity is not based on the chances of the keeper saving it !!!! This should not be one of the considerations! Its a clear and obvious chance to score. Chance to score.
Not based on the keepers ability or otherwise.

When digesting DOGSO the ability of the keeper is not a consideration, the fact a direct shot is travelling to the middle of the goal (but for the defenders handball) is what we consider.
That's why I'm asking if there's been any official guidance handed out (specifically for HB DOGSO) to those higher up the Church of Scientology pyramid
using this shot as an example, if a player dives and blatantly and clearly intentionally handballs it we would send off irregardless of the likelihood of the keeper saving.

in that case i think you have to send if the obviousness of the handball is not quite as blatant, if you call it deliberate the punishment has to be the same.

there are differences though, say this was a shanked shot that was looping up to the keeper or off target then a yellow would be the max punishment. but well struck and on target, red imo
There must be some other consideration to the fact the shot is on target however... (once HB is a given)
If you are penalsing the handball, it follows suit a red should follow

BBC (shock) actually pondered that by arguing if he was a bit further back it would be a red surely?

Also, while I agree with the line of thinking that it may be a red card, I do wonder if that happened in our games would that decision be seen as credible? - I get the sense that maybe this would be something the players and fans might feel is an unexpected call.
No no no no ! A clear and obvious goal scoring opportunity is not based on the chances of the keeper saving it !!!! This should not be one of the considerations! Its a clear and obvious chance to score. Chance to score.
Not based on the keepers ability or otherwise.
I think you are mixing a bit VAR terminology in there for drama effect. DOGSO is only obvious, there is not need for clear but that's only semantics.

### The text is interrupted by calculated molecules
- - -
Version P
10 unconnected molecules or ions with the total composition C12H44N10O10, computed with ωB97M-V with the def2-TZVPD basis set.

Output
Gap between HOMO and LUMO, eV: 7.2572
LUMO level, eV: -0.556
Total charge: 0
Structure (SMILES): NC(N)=O.NC(N)=O.NC(N)=O.NC(N)=O.NC(N)=O.CCO.CCO.CO.CO.CO

Geometry (Å):
C 0.6180 -0.1720 4.4981
C -0.9070 -0.2850 4.4251
O -1.3590 0.2570 3.2311
H 1.0180 -0.6780 3.6551
H 0.9530 -0.5600 5.4091
H 0.8670 0.8430 4.4181
H -1.4740 0.0080 5.2681
H -1.0200 -1.2810 4.1961
H -2.2370 -0.0730 3.0701
C -0.4090 -2.9090 1.0411
C 1.0240 -3.2050 0.6681
O 1.8520 -2.2390 1.2231
H -0.9410 -3.7740 0.8311
H -0.7510 -2.0240 0.5241
H -0.5200 -2.6700 2.0961
H 1.1970 -3.2220 -0.4349
H 1.2690 -4.1840 1.1181
H 2.7200 -2.4790 1.0751
C -1.5770 -1.8810 -2.4149
O -2.2820 -1.0220 -1.6199
N -0.2740 -1.9730 -2.3019
N -1.9750 -2.5130 -3.5369
H 0.1470 -1.4120 -1.4619
H 0.2260 -2.8970 -2.4169
H -2.9440 -2.6770 -3.7379
H -1.3420 -3.2010 -3.9099
C -0.2920 0.4270 0.3081
O -1.5410 0.8090 0.4971
N 0.2620 0.4090 -0.8229
N 0.5830 0.1130 1.2441
H -0.2710 0.8040 -1.6349
H 1.2870 0.3640 -0.8689
H 0.0270 0.0690 2.1511
H 1.3550 -0.5690 1.0991
C -1.7150 2.7860 -2.3799
O -1.4200 3.8910 -3.1879
N -1.7010 1.5080 -2.7649
N -1.9620 2.9290 -1.1579
H -1.8040 1.2710 -3.7579
H -2.0030 0.7360 -2.1159
H -1.8750 3.9090 -0.7259
H -2.1180 2.2360 -0.4609
C 0.6500 -0.2240 -5.0649
O 1.3160 0.4680 -6.1299
N 1.1410 -0.4660 -3.9229
N -0.3950 -0.9940 -5.3509
H 1.7780 0.2280 -3.5379
H 0.5200 -0.8460 -3.1489
H -0.7790 -0.9860 -6.2969
H -0.8870 -1.5970 -4.6239
C 2.7450 2.7340 0.9421
O 2.0710 2.9510 -0.2649
N 3.7170 3.5170 1.3661
N 2.2680 2.0120 1.8911
H 4.0880 4.3040 0.7921
H 4.1800 3.3290 2.2701
H 1.5470 1.3160 1.6031
H 2.9490 1.4720 2.4541
C 3.5990 -0.0860 -0.5939
O 2.8110 -0.8640 -1.4959
H 3.2810 -0.1180 0.4481
H 3.5800 0.9930 -0.9129
H 4.5860 -0.5320 -0.7129
H 3.2840 -1.3050 -2.2399
C -3.9520 -2.0850 1.3961
O -3.8640 -0.7060 1.1911
H -4.7130 -2.4650 0.7021
H -4.3620 -2.2810 2.4121
H -3.0410 -2.6240 1.1471
H -3.1610 -0.3840 0.6891
C -0.8840 3.2340 2.6341
O -0.0440 4.0220 1.8631
H -0.3130 2.4880 3.2121
H -1.5260 2.7560 1.9431
H -1.4820 3.8440 3.3011
H 0.5990 3.4270 1.7081


Version Q
10 unconnected molecules or ions with the total composition C12H44N10O10, computed with ωB97M-V with the def2-TZVPD basis set.

Output
Gap between HOMO and LUMO, eV: 8.9214
LUMO level, eV: -0.076
Total charge: 0
Structure (SMILES): NC(N)=O.NC(N)=O.NC(N)=O.NC(N)=O.NC(N)=O.CCO.CCO.CO.CO.CO

Geometry (Å):
C -8.0030 21.4860 -13.3660
C -6.6560 21.2870 -14.0890
O -6.0590 20.1490 -13.6420
H -8.6710 20.5950 -13.3160
H -8.4860 22.2810 -13.9400
H -7.8750 21.8380 -12.3270
H -5.8990 22.0360 -14.0250
H -6.8530 21.0530 -15.1280
H -5.1980 20.0760 -14.1030
C -2.9740 16.5810 -13.7790
C -4.3250 17.2170 -13.7870
O -4.6740 17.5750 -12.4620
H -2.8130 16.1600 -14.7270
H -2.8290 15.8530 -12.9670
H -2.2800 17.3690 -13.6060
H -4.8860 16.3480 -14.1580
H -4.3810 18.0380 -14.4600
H -5.6180 17.7930 -12.4620
- - -

There must be some other consideration to the fact the shot is on target however... (once HB is a given)
There are quite a few in "FIFA Considerations – Analysis of Match Situations" for DOGSO-foul but nothing for DOGSO-HB. For me anything that impacts on the opportunity become obvious is under consideration and that includes the keeper's ability, distance from shot to goal (when keeper is in goal), and in this case if the keeper has a clear line of sight. I think if you role the tape after the moment of handball keeper is having a good attempt for a save. It's touch and go but I lean on the DOGSO side bar below.

The consideration for me, which hasn't been raised yet, is that if there was no handball and a goal was scored, it would have probably been offside (obstructing line of vision by PIOP) and hence no goal scoring opportunity. I think that is why it took so long for the review, to determine the colour of the card, not if it was a deliberate handball.

Its not exact same and some imagining is required, but its the clip that springs to mind.... ok I get the goalie is standing next to the defender, but, imagine the gk was standing on his line....... it still be a red card

When the City ref deems his incident to be deliberate handball, I think the red (harsh as it might seem) should follow.

1 min 30 on the clip

I disagree that constitutes a DOGSO. I would suggest the hand stops a promising goal scoring opportunity (YC) but at that distance from goal where the handball was not a deliberate act with the keeper still to beat, I would not be considering that as an obvious goal scoring opportunity.
I disagree that constitutes a DOGSO. I would suggest the hand stops a promising goal scoring opportunity (YC) but at that distance from goal where the handball was not a deliberate act with the keeper still to beat, I would not be considering that as an obvious goal scoring opportunity.

You dont think someone shooting direct into the posts is a clear opportunity to score?
Do you think of the goalies chances on the stereotypical one on one when the centre half does his last man tackle?

We happily dismiss 30 yards out with ball at strikers feet, with the gk to beat, and thats classed as a obvious goal scoring opportunity!
So, a shot on target blocked, ten yards from the goal, has to be an even more obvious opportunity to score a goal!

Remember, its opportunity to score. Not the exact science of, actually scoring

We dont give the keepers ability to save it a thought!

Take the handball offence away and consider it just a direct shot on goal...thats the goal scoring opportunity!

What do you think the attacker is doing if its not havimg an on target shot at goal?
That's why I'm asking if there's been any official guidance handed out (specifically for HB DOGSO) to those higher up the Church of Scientology pyramid

Clearest way to break it down is, take the actual handball defender out of the equation
Just focus on attacker firing in his shot, directly at target and with reasonable force.
You now have your obvious goal scoring opportunity?
Bearing in mind, opportunity, a chance to score.

Now add back on the defenders handball. And that opportunity to score has been denied.
Just to clarify, it's not an 'opportunity to score', it's an 'obvious goals scoring opportunity'
There's quite a big difference between the two
Just to clarify, it's not an 'opportunity to score', it's an 'obvious goals scoring opportunity'
There's quite a big difference between the two

A direct hit on goal which has been blocked ten yard from the centre of the posts?
Very obvious to me

Edit. 11 yards
Maybe. Anyway, as @one indicated, the YC was likely because the GK's view was obstructed by an offside player

# Attached: calculated molecules
........
# 1
Molecular formula: C20H70N8O15
Method: DFT, the ωB97M-V functional and the def2-TZVPD basis

Geometry (Å):
1 C 7.478 -6.318 -3.065
2 C 6.043 -6.462 -2.745
3 O 5.479 -5.158 -2.691
4 H 7.576 -6.009 -4.120
5 H 7.981 -7.264 -2.855
6 H 7.956 -5.614 -2.406
7 H 6.050 -6.796 -1.665
8 H 5.468 -7.207 -3.334
9 H 4.546 -5.408 -2.597
10 C 2.496 1.586 -4.723
11 C 2.950 0.427 -3.924
12 O 2.902 -0.737 -4.728
13 H 2.845 1.722 -5.698
14 H 2.827 2.498 -4.191
15 H 1.424 1.587 -4.856
16 H 2.388 0.390 -2.982
17 H 3.910 0.535 -3.614
18 H 3.229 -1.394 -4.120
19 C 1.506 -5.446 -8.628
20 C 1.342 -6.487 -7.599
21 O 2.081 -6.073 -6.449
22 H 1.096 -4.577 -8.166
23 H 0.859 -5.711 -9.426
24 H 2.503 -5.399 -8.971
25 H 1.754 -7.402 -7.927
26 H 0.344 -6.829 -7.276
27 H 1.517 -5.492 -5.926
28 C 2.117 -4.938 -1.830
29 C 1.985 -5.715 -3.078
30 O 3.028 -6.643 -3.198
31 H 3.105 -4.475 -1.802
32 H 2.013 -5.591 -0.932
33 H 1.424 -4.078 -1.947
34 H 1.969 -5.095 -3.909
35 H 1.048 -6.252 -3.025
36 H 2.699 -7.268 -3.835
37 C 3.278 0.403 -8.704
38 C 4.475 0.542 -9.585
39 O 4.747 1.914 -9.881
40 H 3.166 -0.634 -8.490
41 H 2.317 0.669 -9.219
42 H 3.524 0.999 -7.830
43 H 4.220 0.085 -10.554
44 H 5.341 -0.021 -9.192
45 H 5.647 2.065 -10.203
46 C -0.051 -0.086 -7.000
47 O -0.510 0.552 -8.172
48 N -0.828 -0.295 -6.047
49 N 1.200 -0.377 -6.808
50 H -1.746 0.141 -6.124
51 H -0.408 -0.462 -5.116
52 H 1.682 -0.204 -7.677
53 H 1.710 -0.599 -5.927
54 C 5.208 -6.300 -7.488
55 O 6.113 -5.679 -8.343
56 N 5.280 -6.233 -6.176
57 N 4.326 -7.202 -7.891
58 H 6.034 -5.640 -5.747
59 H 4.460 -6.404 -5.608
60 H 4.055 -7.079 -8.883
61 H 3.467 -7.316 -7.291
62 C 7.384 -3.088 -4.375
63 O 6.798 -3.929 -5.394
64 N 7.257 -3.350 -3.165
65 N 8.123 -2.055 -4.594
66 H 6.754 -4.246 -2.977
67 H 7.856 -2.835 -2.514
68 H 8.251 -1.792 -5.618
69 H 8.604 -1.492 -3.921
70 C -0.154 -3.639 -5.739
71 O -0.158 -4.949 -5.382
72 N 0.865 -2.958 -5.831
73 N -1.217 -2.909 -5.889
74 H 1.733 -3.463 -5.690
75 H 0.887 -1.958 -6.145
76 H -2.137 -3.403 -5.807
77 H -1.238 -1.816 -6.030
78 C 3.848 -3.283 -6.435
79 O 3.648 -3.662 -5.072
80 H 3.289 -3.948 -7.200
81 H 4.876 -3.332 -6.750
82 H 3.544 -2.241 -6.600
83 H 4.487 -3.937 -4.693
84 C 5.041 -3.094 -10.045
85 O 4.804 -3.959 -11.077
86 H 4.330 -2.360 -10.090
87 H 5.943 -2.534 -10.224
88 H 5.112 -3.585 -9.035
89 H 5.388 -4.702 -10.957
90 C 5.753 0.456 -5.949
91 O 6.230 1.328 -6.978
92 H 6.565 -0.121 -5.471
93 H 5.118 -0.286 -6.437
94 H 5.263 1.112 -5.286
95 H 5.594 2.032 -7.151
96 C 7.425 -1.558 -7.871
97 O 8.233 -0.827 -7.012
98 H 7.327 -0.956 -8.766
99 H 6.468 -1.698 -7.363
100 H 7.835 -2.473 -8.254
101 H 7.960 0.036 -6.849
102 C 4.553 -2.114 -1.328
103 O 5.021 -1.853 -2.673
104 H 4.817 -1.351 -0.600
105 H 4.943 -3.098 -1.033
106 H 3.530 -2.187 -1.240
107 H 5.861 -2.292 -2.856
108 C 0.918 -2.322 -9.831
109 O 0.140 -3.301 -10.627
110 H 1.776 -2.798 -9.311
111 H 0.348 -1.932 -9.040
112 H 1.363 -1.499 -10.451
113 H -0.249 -3.931 -9.965

Output
LUMO energy   0.02 eV
Spin multiplicity   1
........

I be amazed if that came into the equation real time
Thought process is....is it handball, then, is it a sanction...

Offside out the window at that point.
I be amazed if that came into the equation real time
Thought process is....is it handball, then, is it a sanction...

Offside out the window at that point.

Of course offside is not out the window. If, ITOOTR, the OSP player was blocking the vision of the GK, there was no goal scoring opportunity at all, let alone an obvious one.

And if the VAR was doing his job, of course that was being considered. Indeed, the AR should have been advising the R of the OSP issue, even without VAR.
Of course offside is not out the window. If, ITOOTR, the OSP player was blocking the vision of the GK, there was no goal scoring opportunity at all, let alone an obvious one.

And if the VAR was doing his job, of course that was being considered. Indeed, the AR should have been advising the R of the OSP issue, even without VAR.

If the first shot goes straight in, Goal. Even after review.
Negates the offside query

**Unrelated to this article: data records:**
-- begin --
Below is a molecular structure, C14H11N2ORuS3 at a distorted geometry, with properties calculated with ωB97M-V/def2-TZVPD.

Results
Calculated total energy (eV): -54803.1392
E_HOMO (spin up / spin down) (Eh): -0.419 / -0.420
Net charge: +1

Element x y z (Å)
Ru (-0.04, 0.16, 0.13)
C (0.12, -0.09, 4.38)
C (-0.51, -1.31, 4.62)
C (-1.02, -2.04, 3.56)
C (-0.90, -1.56, 2.28)
N (-0.31, -0.36, 2.07)
C (0.20, 0.36, 3.09)
C (-1.35, -2.21, 1.04)
C (-2.05, -3.40, 0.96)
C (-2.41, -3.91, -0.28)
C (-2.07, -3.23, -1.44)
C (-1.38, -2.02, -1.38)
C (-1.01, -1.53, -0.14)
H (0.53, 0.50, 5.19)
H (-0.59, -1.69, 5.63)
H (-1.51, -2.99, 3.74)
H (0.67, 1.30, 2.83)
H (-2.32, -3.94, 1.86)
H (-2.96, -4.84, -0.34)
H (-2.36, -3.63, -2.41)
H (-1.13, -1.48, -2.28)
C (-2.60, 5.12, -2.11)
O (-1.92, 4.16, -1.26)
C (-2.19, 2.89, -1.44)
S (-3.14, 2.18, -2.53)
S (-1.26, 1.93, -0.25)
H (-2.26, 6.09, -1.77)
H (-3.68, 5.01, -1.99)
H (-2.33, 4.95, -3.15)
S (4.18, 0.00, -1.40)
C (2.67, -0.02, -1.12)
N (1.47, -0.06, -0.90)

---

Below is 2 unconnected molecules or ions with the total composition C4H15N2O at a distorted geometry, with properties calculated with ωB97M-V/def2-TZVPD.

Results
Energy relative to the best compared isomer or geometry (same formula, charge and spin) (kcal per mole): 20.3
Calculated total energy (eV): -9412.7830
E_HOMO (Eh): -0.545
Net charge: +1

Element x y z (Å)
C (0.08, 0.09, -1.06)
N (-0.05, -1.19, -1.85)
C (0.74, -0.34, 0.24)
N (0.24, -1.72, 0.53)
C (0.75, 0.22, 2.79)
C (0.33, 0.64, 1.36)
H (-0.94, 0.34, -0.75)
H (0.46, 0.87, -1.70)
H (-0.95, -1.14, -2.29)
H (0.58, -1.14, -2.64)
H (1.82, -0.43, 0.10)
H (-0.69, -1.73, 0.95)
H (0.14, -2.03, -0.52)
H (0.88, -2.18, 1.17)
H (0.30, 0.97, 3.44)
H (1.83, 0.35, 2.92)
H (0.44, -0.77, 3.11)
H (-0.76, 0.70, 1.40)
H (0.75, 1.60, 1.06)
H (-1.30, 2.51, -3.07)
H (-2.74, 2.42, -2.58)
O (-1.92, 1.94, -2.62)

---

Below is 2 unconnected molecules or ions with the total composition C9H14O at a distorted geometry, with properties calculated with ωB97M-V/def2-TZVPD.

Results
Energy relative to the best compared isomer or geometry (same formula, charge and spin) (kcal per mole): 17.6
Structure (SMILES): Cc1ccccc1.CCO
Calculated total energy (eV): -11606.8744
E_HOMO (Eh): -0.333

Element x y z (Å)
C (-2.66, 0.15, 0.45)
C (-1.39, 0.72, -0.10)
C (-0.57, 1.50, 0.71)
C (0.64, 1.96, 0.22)
C (0.86, 1.90, -1.15)
C (-0.02, 1.25, -2.02)
C (-1.09, 0.58, -1.45)
H (-3.55, 0.78, 0.42)
H (-2.56, -0.12, 1.50)
H (-2.89, -0.79, -0.06)
H (-0.94, 1.67, 1.72)
H (1.44, 2.38, 0.80)
H (1.85, 2.17, -1.51)
H (0.15, 1.32, -3.08)
H (-1.68, -0.04, -2.11)
C (2.30, -1.28, 0.77)
C (0.91, -1.66, 0.32)
O (0.62, -2.87, 1.07)
H (2.95, -2.15, 0.86)
H (2.15, -0.87, 1.77)
H (2.79, -0.53, 0.16)
H (0.15, -0.95, 0.63)
H (0.79, -1.88, -0.74)
H (-0.24, -3.25, 0.82)

---

Below is a molecular structure, C45H62BF7N2O2Sb2Si3Y at a distorted geometry, with properties calculated with ωB97M-V/def2-TZVPD.

Results
-- stop --

In your version, what can the yc be for? Spa on an attack which you are saying does not exist?
Football has never been a science, that's why it doesn't fit well with forensic scrutiny
If the first shot goes straight in, Goal. Even after review.
Negates the offside query
You lost me. The question on the shot is whether the OSP player is blocking the vision of the GK. If it goes in, it would still be OS if ITOOTR the OSP player blocked the GK's vision.
In your version, what can the yc be for? Spa on an attack which you are saying does not exist?

I didn't suggest there should be a caution.

I see three paths to a caution. R opinion not DOGSO not based on OS. R thought about OS as alleviating DOGSO but didn't think about it with respect to SPA. The improper caution on handling to sell a PK.

I wasn't going to weigh in on the core DOGSO question, but what the heck. DOGSO-F requires denying an opportunity; DOGSO-H requires denial of an OGSO or a goal.

I don't think the guidance on how to apply the OGSO part of handling is very clear.* I think the OGSO part of DOGSO-H is really aimed at a handling that prevents an opponent from getting the ball in an opportune position--taking away an opportunity from a player. And I think the denying a goal is the aspect that is intended to apply to a shot. Where the R thinks it is likely the handled shot was off target or likely to be saved by the GK, there was no obvious goal to be scored. And I think that is actually the reasoning that was applied by the referee here.

*Fortunately USSF abandoned its clear but incorrect guidance. For a period of time USSF taught that DOGSO-H applied only to handling a ball that would have ended up in the goal, reading the opportunity part completely out of the law.